Robyn Shaffer ’13 is an epeeist on the women’s fencing team and is currently serving as the team’s captain for the second consecutive season. The Nashville, Tenn. native, who was originally a walk-on, placed 12th at the NCAA Northeast Regionals her sophomore year and was an Academic All-Ivy selection last season. The women’s fencing team opened its season last weekend at the Garret Open at Penn State, where Shaffer and two of her fellow Bulldogs earned top 16 finishes.
Q: When did you begin fencing?
A: The first time I picked up a blade was fourth grade. It was an after school program at my school, one of those programs that keeps kids until 4:00 so your parents can stay at work. I thought it was fun and I just never stopped.
Q: When did you realize you would have an opportunity to fence at the collegiate level?
A: It wasn’t until second semester junior year when I started really looking at colleges and I thought, “Oh, I can keep doing this.” I actually wasn’t a recruit — I’m a walk-on. I spoke with different coaches both in the spring of my junior year and over the summer and talked to them about what life would be like on a varsity athletic team. But ultimately I got in on my own.
Q: Can you give a brief overview of the different weapons in fencing?
A: There are three weapons. The difference between the weapons is the target area, where you’re allowed to hit. Secondary to that, there are also differences in the rules. The weapon I fence is epee, where you can hit anywhere on the body. The other two weapons are foil, where the target area is the torso and the lower part of the neck, and saber, where the target area is just the upper body.
Q: How do fencers choose which weapon they fence with?
=====
KGdGeS4: relaxed, PBE.

Structure (CIF):
```
data_KGdGeS4
_space_group_name_H-M_alt 'P 1'
_space_group_IT_number 1
_cell_length_a 6.571
_cell_length_b 6.735
_cell_length_c 8.719
_cell_angle_alpha 90.00
_cell_angle_beta 106.99
_cell_angle_gamma 90.00
loop_
_space_group_symop_operation_xyz
'x,y,z'
loop_
_atom_site_label
_atom_site_type_symbol
_atom_site_fract_x
_atom_site_fract_y
_atom_site_fract_z
K1 K 0.232 0.000 0.434
K2 K 0.768 0.500 0.566
Gd1 Gd 0.271 0.016 0.949
Gd2 Gd 0.729 0.516 0.051
Ge1 Ge 0.275 0.484 0.178
Ge2 Ge 0.725 0.984 0.822
S1 S 0.068 0.481 0.336
S2 S 0.072 0.423 0.929
S3 S 0.478 0.744 0.780
S4 S 0.483 0.752 0.205
S5 S 0.517 0.252 0.795
S6 S 0.522 0.244 0.220
S7 S 0.928 0.923 0.071
S8 S 0.932 0.981 0.664
```

Results
Its energy of formation from the pure elements is -1.543 eV per atom. Its crystal system is monoclinic. The total magnetization is 7.00 μB per formula unit.

~~~~~

(1)
Material: Mo2O
Method: DFT, PBE+U
State: optimized geometry

Computed properties:
energy of formation from the pure elements: 1.447 eV/atom
magnetic moment: 0.989 μB/atom
crystal system: cubic

Cell: 3.949 3.949 3.949 Å, 60.00 60.00 60.00°
Fractional coordinates of all 3 atoms:
1 Mo 0.250 0.250 0.250
2 Mo 0.750 0.750 0.750
3 O 0.000 0.000 0.000


(2)
Material: Li2Co2OF6
Method: DFT, PBE+U
State: optimized geometry

Computed properties:
energy of formation from the pure elements: -2.254 eV/atom
magnetic moment: 0.443 μB/atom
crystal system: triclinic
offset from the most stable computed form: 0 meV per atom

Cell: 5.336 6.684 8.374 Å, 71.22 74.81 82.71°
Fractional coordinates of all 22 atoms:
1 Li 0.067 0.254 0.347
2 Li 0.399 0.570 0.742
3 Li 0.601 0.430 0.258
4 Li 0.933 0.746 0.653
5 Co 0.200 0.999 0.809
6 Co 0.280 0.791 0.295
7 Co 0.720 0.209 0.705
8 Co 0.800 0.001 0.191
9 O 0.055 0.120 0.629
10 O 0.945 0.880 0.371
11 F 0.111 0.714 0.846
12 F 0.196 0.919 0.064
13 F 0.235 0.510 0.292
14 F 0.307 0.705 0.525
15 F 0.361 0.268 0.795
16 F 0.425 0.078 0.262
17 F 0.575 0.922 0.738
18 F 0.639 0.732 0.205
19 F 0.693 0.295 0.475
20 F 0.765 0.490 0.708
21 F 0.804 0.081 0.936
22 F 0.889 0.286 0.154


(3)
Material: CaLa2Mn3O9
Method: DFT, PBE+U
State: optimized geometry

Computed properties:
energy of formation from the pure elements: -2.857 eV/atom
magnetic moment: 0.733 μB/atom
crystal system: orthorhombic
offset from the most stable computed form: 0 meV per atom

Cell: 16.629 7.740 5.556 Å, 90.00 90.00 90.00°
Fractional coordinates of all 60 atoms:
1 Ca 0.157 0.250 0.007
2 Ca 0.343 0.750 0.507
3 Ca 0.657 0.250 0.493
4 Ca 0.843 0.750 0.993
5 La 0.006 0.750 0.503
6 La 0.176 0.750 0.993
7 La 0.324 0.250 0.493
8 La 0.494 0.250 0.003
9 La 0.506 0.750 0.997
10 La 0.676 0.750 0.507
11 La 0.824 0.250 0.007
12 La 0.994 0.250 0.497
13 Mn 0.000 0.000 0.000
14 Mn 0.000 0.500 0.000
15 Mn 0.167 0.001 0.499
16 Mn 0.167 0.499 0.499
17 Mn 0.333 0.501 0.999
18 Mn 0.333 0.999 0.999
19 Mn 0.500 0.000 0.500
20 Mn 0.500 0.500 0.500
21 Mn 0.667 0.001 0.001
22 Mn 0.667 0.499 0.001
=====
A: Sometimes it’s based on body type. If you’re tall or if you’re a little faster that might give you an advantage in one weapon or another. Sometimes it’s just based on the availability of coaches. I shouldn’t be an eppeist because I’m short. Epeeists are normally tall, but the only coach in my area was an epee coach, so that’s what I did.
Q: What attributes make a good fencer?
A: Fencers have to be quick. A single bout is three minutes long, so you have to be quick, but you also have to be quick-thinking. Coaches will describe fencing as physical chess. Half of it is physical but the other half is strategic and mental, being smart on the strip.
Q: What is a typical fencing practice like?
A: We start off with warm-up and stretching just like any other team. We’ll do footwork and drilling, which is more technique-based, and then we’ll do competitive bouting where we split up into our weapons and fence a five-touch bout.
Q: Last year you were named team captain as a junior. What was it like being in a role where you were expected to lead seniors?
A: It was daunting at the beginning but everyone was incredibly supportive. The captains are elected by the team so I wouldn’t be there unless the team wanted me to be. The seniors were incredibly helpful, and we worked together to lead the rest of the team.
Q: Overall, how would you describe your leadership style?
A: I’m very communicative. I probably send an email a day. I like to be involved, which may be a good thing or a bad thing. We’re a team that values academics above nearly anything else — my coach will tell you that — so I try to stay up-to-date on how everyone is doing academically.
Q: What do you think are realistic expectations for the team this year?
A: I think this year’s team is probably at a similar technical level as last year. We lost a few great seniors and we gained a few great freshmen. That being said, team spirit, energy and confidence in competition can boost us higher than our technical skill level in practice.
Q: If you were attacked on the street and you had your epee, could you defend yourself?
A: I like to think I could scare someone off, but fencing has a very rigid set of rules. I move in one direction with very specific footwork so maybe if my attacker followed all those rules I’d have a good chance.